School Is Back In Session

I’ve always been a big fan of summer.

This is not a shocking revelation, I’m sure; lots of people love summer. Summer is all about freedom. Fewer rules, fewer schedules, fewer responsibilities. School is out; camp and vacations are in. You’ve heard of casual Fridays? My wife’s job had casual summers. And even though I work full time as a social worker, summers are a bit easier for me because it’s a lot easier to schedule home visits with families when their kids are out of school.

More importantly, summers are about family. Everyone has taken those road trips with their families at some point or another. My brothers and I were masters of the game of “I’m not touching you, you can’t get mad!” My son can’t talk yet, but it’s just a matter of time before I hear him asking, “Are we there yet?” Summer family vacations are about singing together and playing 20 Questions and getting on each others nerves. They’re about driving for 12 straight hours in traffic and torrential downpours because dad refuses to turn around and go home.1 They’re about seeing things you’ve never seen before, whether it’s the sunrise over the Grand Canyon, a Civil War reenactment at Gettysburg or the Baseball Hall of Fame in Cooperstown. Summer vacations are about making memories together.

All that being said, I’ve heard about many parents loving the fall because it means their kids are finally going back to school2. My son turned one this past June, so he’s still going to be home all day with my wife even after school is back in session. For me, school starting is not as happy an occasion. As I mentioned, part of my job includes making home visits, which have to be scheduled later in the afternoon or evening so I can see the children when they’re out of school.3 The other issue is that I work two other part time jobs at our local synagogue during the school year, which take up a lot of time on the weekend. Add on other tutoring appointments and I’m losing between six and eight hours each week that could be spent with my family. That may not sound like much over the course of a week, but if you add in naps and bedtimes, that’s a considerable chunk of time that could be spent watching my son’s constantly developing problem-solving and communication skills.

So why do it? I have a full time job which would be able to pay (most of) the bills, so why should I take on other work that’s going to cut into my time with my family so severely?

First of all, we do need the money. Even if we could pay the bills with just my salary, we need to move to a bigger apartment and still plan somewhat for the future so the extra income is handy. Second, I’ll admit that I do enjoy my extra jobs (most of the time, at least). They help me maintain a connection with our community and our religion. The biggest reason, though, has become about the message I’m sending my son. I want him to know that it’s possible to work – a lot – and still be there for your family. It’s possible to spend an entire day with families who need help and still be able to find the energy to be present and attentive to your own family’s needs. (It’s not easy, but it is possible.) Even if that concept might still be a bit too complex for him, there’s no question that he knows his father is paying attention to him as soon as he walks in the door. He may not be seeing his father quite as much because I’ll be working, but he’ll know that when I am there, I’m all his.

And that’s the most important thing.

Please visit for more articles from Aaron and other great authors about being a dad.

1. This is one of my wife’s stories.
2. I’m assuming that these parents never sent their kids to summer camp. Although I did love this commercial from a few years ago.
3. Yes, I’m still getting home by 6:30 or so most nights, but we try to have our son in bed around 8:00, so time with him is limited.

Debut of the SAHM

When you meet a person for the first time a common topic of conversation is what you do for a living. Or, at least, the question “Where you do work?” is asked. When Eitan was only a few months old my initial response was always “I don’t work; I stay home with my son.” Now Eitan is 14 months old and my response has changed drastically. This past year has shown me just how wrong my earlier answer was, as well as how so many people have preconceived notions about what it means to be a stay-at-home-mother (SAHM).

No, I do not sleep until all hours of the day. I do not watch soap operas or shop until I drop. I wake up when my son wakes up. Every time. No matter what the hour. I am a boo-boo healer, a chef de cuisine of baby and toddler food, a baby proofer and a child chaser, sometimes all at the same time.

This has led me to change my response when asked what I do for a living. Now I say that I am a SAHM. I am the person who my son calls “MA!” My job is taking care of his every need. I am on the clock 24/7, 365 days a year. If you were to write a job description for a SAHM, it would need to include the following responsibilities and necessary skills:

– Able to change diapers in under ten seconds (bonus points for doing it in the dark while the child is trying to roll over)

– Upper body strength (that you didn’t think you had) to lift and carry a 25 lb stroller

– Organizational skills to pack your child’s entire wardrobe for a weekend driving trip

– Able to utilize enough distractions to cut your child’s nails1

– Linguistic talents to understand the different possible meanings of “Eh!” or “Ah!”

– Intestinal fortitude to taste every type of food before giving it to your baby

– Strength of heart to be able to ignore your baby’s cries because you know they need to be napping

– Willingness to be your child’s play mate2, even if it means not shattering their musical truck against the wall

– Ability to figure out what “the pointer finger” means before tears begin

– Patience.  Lots of it.

Being that this is primarily Aaron’s blog, I feel that it is necessary to give my husband a little shout out.  I have an incredible husband who is always willing to help me with mundane tasks such as the laundry, cleaning the bathroom and other housekeeping chores. He doesn’t spend a lot of time at home but he helps out when he’s there.

Sure, I miss having intellectual conversations about adult topics and using my brain for something other than building block towers or playing peek-a-boo. It’s not easy hearing my husband come home and talk about the “real” issues he dealt with during his day.  But I know that I should not take my “job” for granted or ever complain about the so-called intellectual conversations that I am missing. After having been home with Eitan for the past 14 months, I can’t imagine not being with him every day.

I recently completed my Masters degree in General and Special Education and I sometimes think that I wasted my money since I’m not currently teaching full-time. But then when I think about my day or about the past few months, I realize that I am my son’s personal full-time teacher. Yes, we play, but we also spend a lot of time learning.  We go to classes and on shopping adventures where we explore the world.  We have inside jokes.  Eitan is learning to cook and clean and perform other life skills; he has already mastered flushing the toilet, throwing out garbage and sweeping the floor.3 So although I might not be contributing to the household income, I know that my contributions are much more important for our family.

I don’t mean this to be a judgment of “working moms.”  If anything, I think it’s probably an even harder job to leave a child at home than it is to spend the day with them.  Either way, people do what they need to in order to get by and Aaron and I have found a system that seems to work for us (most of the time, at least).  The bottom line, for me, is that I wouldn’t trade a minute of being Eitan’s mom.

I have the best job ever.

1. Note: Aaron failed this skill.

2. Not to be confused with a Playboy Playmate.  I am not one of those either.

3. Still more evidence that Eitan is clearly my child.

Testing the Limits

“He looks so serious,” my wife said.
I answered, “That’s because he knows he’s in trouble.”

Eitan was sitting three feet away and looking back at me expectantly. Trudy had just spoken very sternly to Eitan and he was looking to me for support. Eitan doesn’t get yelled at often1 but if either of us raise our voices, it’s probably because Eitan has climbed into his toy box or onto the recliner or, as he did a couple of nights ago, onto the ottoman where he sits and moves it back and forth like a teeter-totter. And, while this instance had nothing to do with his safety, a lesson still needed to be taught.

I looked back at him and said, just as sternly as Trudy had, “No. We do not throw food.”

Trudy and I are as rational about Eitan’s development as we can be. We know that Eitan is learning about testing boundaries.2 We know that he’s going to do things that he knows will elicit reactions from us and that he’s just barely starting to understand the difference between right and wrong. We know that this is a long process and that it’s all a natural part of his cognitive development. That’s all easy.

The hard part is remembering to resist the urge to just wrap him up in a hug if he starts getting upset when we’re teaching him these lessons because he doesn’t like seeing his parents angry with him. In this case, Eitan eventually broke the face-off with me by pointing to the pictures of our family on the wall behind me and clapping his hands. My son, the 14-month-old negotiator, has learned to try to distract authority figures from being upset with him by reminding them just how adorable he is and how much they love him.3 And I was forced to look him right in the eye and say, “Yes, that’s us in the picture and we love you very much. But we still don’t throw food.” Eitan kept clapping his hands every couple of minutes and then started crying to be let out of his high chair.

I’ve written before about how smart Eitan is so I’m not going to do that again here. What I will say, though, is that it’s both amazing and heartbreaking to watch him develop, both cognitively and emotionally. I would think that every parent can identify with the feeling of wonder that I’ve experienced watching Eitan figure out ways to solve challenges, whether he’s using the shape sorter or escaping through a door left ajar. He’s literally learning new things every day. That being said, he’s also learning that life is not always fun. He’s not always going to get what he wants. He’s going to get scared. His parents, who have played with him and loved him and cared for him for the entirety of his short life, are going to get angry with him sometimes. And while he’s learning how his actions affect others, he’s forcing his parents to learn that sometimes they have to be the bad guys too.

At least we’re learning together.

1. She didn’t yell. She said “No!” loudly and sternly, but it’s not like she went crazy and screamed at him.

2. Actually, he first started learning about boundaries weeks ago when he realized that he could make his parents make hilarious noises by sinking his teeth into various parts of their bodies.

3. Eitan is never going to get a speeding ticket for this very reason.

Liars, Killers and Brauns, Oh My!

There has been a lot of negative news lately regarding professional athletes in the U.S. The Biogenesis scandal regarding the use of performance-enhancing drugs (PEDs) in Major League Baseball has re-sparked numerous debates over the validity of certain records, awards and potential future Hall of Fame eligibility. Free agent point guard Daniel Gibson was charged with battery for breaking a man’s jaw during an argument. And, of course, former1 New England Patriots tight end, Aaron Hernandez, was arrested and charged with murder.

Where have you gone, Joe DiMaggio, indeed.

There are many articles being written and opinions being voiced decrying some of these athletes and their poor judgment and lack of respect for the games they play. Others will speak about how we can, in good conscience, maintain our connections with professional sports and the athletes who play them. There are also other articles that are speaking more to the ways parents can explain negative actions’ by public figures to their children2. As a person who feels a fairly strong connection to multiple sports and teams, and who participates in conversations related to sports somewhat often, I was surprised that I have not had a stronger reaction to this recent string of negativity.

Perhaps it’s just not in me to get too worked up over things like this. Yes, I’m disappointed that a number of MLB players, including former Cubs home-run-hitting machine, Sammy Sosa, have clearly cheated their ways into the history books. Yes, I think that the actions Aaron Hernandez allegedly committed in murdering Odin Lloyd are deplorable. But it just doesn’t seem to be in me to scream from the rooftops or to find a soapbox and start preaching.

I’m still going to follow my teams, win or lose. I’m still going to find myself getting attached to players for no good reason. I’m still going to play fantasy games, even if that means having to cheer for the success of a hated rival.3 Every sport is going to continue making billions of dollars in revenue every year because no matter how much negative press comes about, there are always fans who can’t stay away. Life goes on.

But that’s exactly what concerns me. I am uncomfortable by how simple it is for me to accept these situations as normal. When did this get so easy?

I suppose I already know the answer. Humans are creatures of habit, and I’m certainly no exception. When the same thing keeps happening, I begin to expect it. It doesn’t surprise me that my commute is going to be crowded every morning on my way to work; or that I’m going to have to pay bills every month; or that my family is going to be waiting for me when I get home in the evening. Similarly, it doesn’t surprise me when I hear that another professional athlete has done something stupid. All of those examples happen regularly enough that they no longer seem out of the ordinary to me.

Before I leave you with too much negativity, though, think about this: sports are still amazing. Sports give us the opportunity to bear witness to unbelievable acts of athleticism. They bring families, communities and complete strangers together.4 They distract us from real life and, in some cases, help us accept and move on from real life.5 As long as I focus more on the benefits of sports and the more positive actions taken by the majority of sports figures, I can still feel comfortable continuing my fandom. The joy I derive from watching professional sports – and, more importantly, from sharing them with my son – may be slightly dimmed by the actions of a few people, but it will still be shining brightly.

[1] Former because he was released almost immediately after the team became aware of his alleged involvement in the situation.

[2] At least one of these can be found here

Records of crystals from another source follow
........
## A
A relaxed structure of ZnCrBr2, computed with PBE.

The total moment comes out at 1.00 μB per atom. The density of states at the Fermi level comes out at 3.3 states/eV/cell. The calculation puts the density at 4.4 g/cm³.

a b c (Å): 9.100 9.100 9.100
angles (deg): 23.34 23.34 23.34
Sites, in units of the cell vectors:
Zn (0.000, 0.000, 0.000)
Cr (0.738, 0.738, 0.738)
Br (0.275, 0.275, 0.275)
Br (0.462, 0.462, 0.462)

***

## B
A relaxed structure of ZnCrBr2, computed with PBE.

The total moment comes out at 1.21 μB per atom. The density of states at the Fermi level comes out at 1.0 states/eV/cell. The calculation puts the density at 4.4 g/cm³.

a b c (Å): 3.899 3.900 6.863
angles (deg): 90.00 90.00 90.00
Sites, in units of the cell vectors:
Zn (0.000, 0.000, 0.000)
Cr (0.500, 0.000, 0.500)
Br (0.000, 0.500, 0.500)
Br (0.500, 0.500, 0.000)

***

## C
A relaxed structure of ZnCrBr2, computed with PBE.

The total moment comes out at 1.00 μB per atom. The density of states at the Fermi level comes out at 0.1 states/eV/cell. The calculation puts the density at 3.3 g/cm³.

a b c (Å): 4.257 3.574 9.127
angles (deg): 90.00 97.79 90.00
Sites, in units of the cell vectors:
Zn (0.000, 0.000, 0.000)
Cr (0.500, 0.000, 0.500)
Br (0.365, 0.500, 0.673)
Br (0.635, 0.500, 0.327)

***

It is B that is the least stable of them.

***

## A
A relaxed structure of Zn2Cr2Br, computed with PBE.

The total moment comes out at 0.23 μB per atom. The density of states at the Fermi level comes out at 5.9 states/eV/cell. The calculation puts the density at 5.9 g/cm³.

a b c (Å): 7.671 7.671 3.005
angles (deg): 90.00 90.00 90.00
Sites, in units of the cell vectors:
Zn (0.198, 0.302, 0.000)
Zn (0.302, 0.802, 0.000)
Zn (0.698, 0.198, 0.000)
Zn (0.802, 0.698, 0.000)
Cr (0.086, 0.586, 0.500)
Cr (0.414, 0.086, 0.500)
Cr (0.586, 0.914, 0.500)
Cr (0.914, 0.414, 0.500)
Br (0.000, 0.000, 0.000)
Br (0.500, 0.500, 0.000)

***

## B
A relaxed structure of Zn2Cr2Br, computed with PBE.

The total moment comes out at 0.00 μB per atom. The density of states at the Fermi level comes out at 2.6 states/eV/cell. The calculation puts the density at 6.0 g/cm³.

a b c (Å): 8.371 8.371 8.371
angles (deg): 157.36 157.36 32.23
Sites, in units of the cell vectors:
Zn (0.121, 0.121, 0.000)
Zn (0.879, 0.879, 0.000)
Cr (0.250, 0.750, 0.500)
Cr (0.750, 0.250, 0.500)
Br (0.500, 0.500, 0.000)

***

It is A that is the least stable of them.

***

## A
A relaxed structure of ZnCrBr, computed with PBE.

The total moment comes out at 1.46 μB per atom. The density of states at the Fermi level comes out at 2.1 states/eV/cell. The calculation puts the density at 5.0 g/cm³.

a b c (Å): 3.557 3.557 5.931
angles (deg): 90.00 90.00 120.00
Sites, in units of the cell vectors:
Zn (0.000, 0.000, 0.000)
Cr (0.667, 0.333, 0.294)
Br (0.333, 0.667, 0.592)

***

## B
A relaxed structure of ZnCrBr, computed with PBE.
........
The records of crystals stop here

[3] Which, incidentally, is exactly the reason why one of my brothers refuses to play fantasy sports.

[4] See Lessons #1 and #2 for an example of how sports reinforce familial relationships.

[5] Check out these photos from sports in the days after 9/11.